Source >
-- begin --
Record 1
Computed, not measured: an optimized crystal structure of ErTm2Hg at the PBE level of DFT.

The structure in extended XYZ format:
```
8
Lattice="-2.4885 -4.7582 -0.1439 5.3788 -2.7247 -2.9247 4.5712 -2.5178 4.2041" Properties=species:S:1:pos:R:3 pbc="T T T"
Er 3.4021 -1.7925 0.4374
Er 5.2884 -5.8211 0.7680
Hg 3.0892 -4.6074 -1.3315
Hg 2.6835 -4.5035 2.2498
Tm 0.3013 -3.1934 0.1268
Tm 6.0438 -3.1298 -1.0279
Tm 5.6407 -3.0266 2.5302
Tm 8.3738 -4.4120 1.0767
```

Computed properties:
* energy relative to the elements: -0.095 eV/atom
* energy above the most stable polymorph in this dataset: 0.102 eV/atom
* raw total energy: -3.55 eV per atom
* SG: No. 38

=====

Record 2
Computed, not measured: an optimized crystal structure of Na2HfAgBr6 at the PBE level of DFT.

The structure in extended XYZ format:
```
10
Lattice="0.0000 5.4400 5.4400 5.4400 0.0000 5.4400 5.4400 5.4400 0.0000" Properties=species:S:1:pos:R:3 pbc="T T T"
Ag 0.0000 0.0000 0.0000
Br 2.7978 5.4400 5.4400
Br 5.4400 5.4400 8.0822
Br 5.4400 2.7978 5.4400
Br 5.4400 5.4400 2.7978
Br 5.4400 8.0822 5.4400
Br 8.0822 5.4400 5.4400
Hf 5.4400 5.4400 5.4400
Na 2.7200 2.7200 2.7200
Na 8.1600 8.1600 8.1600
```

Computed properties:
* raw total energy: -3.53 eV per atom
* SG: No. 225

=====

Record 3
Computed, not measured: an optimized crystal structure of Ta2ReSi2 at the PBE level of DFT.

The structure in extended XYZ format:
```
5
Lattice="4.2961 -3.3597 2.9501 5.4151 1.9536 2.3037 -6.0688 1.2491 -0.2383" Properties=species:S:1:pos:R:3 pbc="T T T"
Re 0.0000 0.0000 0.0000
Si 3.9179 -0.5673 2.1196
Si 5.7933 -0.8388 3.1342
Ta 1.5415 -1.4068 2.6694
Ta 2.1010 1.2499 2.3461
```

Computed properties:
* raw total energy: -8.90 eV per atom
* SG: No. 139

=====

Record 4
Computed, not measured: an optimized crystal structure of SmFe3NiB at the PBE level of DFT.

The structure in extended XYZ format:
```
12
Lattice="-0.5230 -4.6918 -1.8992 2.3847 3.5892 -2.7064 6.1444 -1.8717 2.9318" Properties=species:S:1:pos:R:3 pbc="T T T"
B 3.5184 -2.8673 -0.7024
B 4.4877 -0.1070 -0.9714
Fe 1.5041 -2.8837 -0.1072
Fe 2.9580 1.2567 -0.5107
Fe 2.6965 -1.0892 -1.4603
Fe 4.1173 -3.6798 1.1397
Fe 5.5711 0.4607 0.7361
Fe 5.3096 -1.8852 -0.2135
Ni 0.4462 -1.9315 -2.1683
Ni 1.4155 0.8289 -2.4373
Sm 0.0000 0.0000 0.0000
Sm 3.0722 -0.9359 1.4659
```

Computed properties:
* raw total energy: -7.20 eV per atom
* SG: No. 191

=====

Record 5
Computed, not measured: an optimized crystal structure of Cd2SeO at the PBE level of DFT.

The structure in extended XYZ format:
```
8
Lattice="-3.6196 0.0000 0.0000 0.0000 0.0000 -5.8885 -1.8098 -6.8473 0.0000" Properties=species:S:1:pos:R:3 pbc="T T T"
Cd -1.8098 -0.8514 -4.4164
Cd -3.6196 -1.8783 -1.4721
Cd -1.8098 -4.9690 -4.4164
Cd -3.6196 -5.9959 -1.4721
O 0.0000 0.0000 0.0000
O 0.0000 0.0000 -2.9443
Se -3.6196 -2.9468 -4.4164
Se -1.8098 -3.9005 -1.4721
```

Computed properties:
* energy above the most stable polymorph in this dataset: 0.262 eV/atom
* raw total energy: -3.04 eV per atom
* SG: No. 63

=====

Record 6
Computed, not measured: an optimized crystal structure of Er2Zr2O5 at the PBE level of DFT.

The structure in extended XYZ format:
```
9
Lattice="-3.0402 6.1252 2.8214 -0.5140 -1.9126 3.5983 3.7089 1.2828 1.2117" Properties=species:S:1:pos:R:3 pbc="T T T"
Er 0.0000 0.0000 0.0000
Er -1.5201 3.0626 1.4107
O -1.0643 0.6703 2.5484
O -2.4899 3.5423 3.8713
O 1.0471 2.2680 1.3551
O -0.3784 5.1400 2.6780
O 0.0774 2.7477 3.8157
Zr 0.9380 1.0137 3.0170
Zr -0.7833 4.4817 4.6144
```

Computed properties:
* energy above the most stable polymorph in this dataset: 0.165 eV/atom
* raw total energy: -8.21 eV per atom
* SG: No. 123

=====

Record 7
Computed, not measured: an optimized crystal structure of Tb2ErCu4Si2Sn2 at the PBE level of DFT.

The structure in extended XYZ format:
```
11
Lattice="-4.0801 -5.7649 4.1279 -5.2390 1.9715 5.9654 2.2397 0.3564 -7.8598" Properties=species:S:1:pos:R:3 pbc="T T T"
Cu -3.5380 -2.8851 2.0565
Cu -6.9225 -4.2627 5.7221
-- stop --
Request >
Next, work out how many lines further above have the word "not" in them; a number is enough.
Done >
7